I told my students today that they were all sheep, almost simultaneously they all baa’d in response, “no we’re not!” I asked them to explain to me in what way they weren’t mindless animals and they proceeded to tell me about their personal experiences. Unsurprisingly, after we went through four different scenarios these teens realized that they all pretty much had a collective dismal feeling, regardless of the details pertaining to their individual perils. I understood at that moment that the comment that I intended to be an insult afforded me an opportunity to engage my students and assure them that despite their differences, they were empirically not alone in their struggles but I berated them for listening to shitty music and dressing all alike instead.
I could blame my ageism for not helping them but really it’s my lethargic impersonal engagement tatics that never exceed past a student-teacher relationship. I’m finding (much accredited to my ageism) that the youth, nowadays, aren’t really worth the extension of kindness. Let’s face it, kids today live in a world where, literally, anything is possible to which I implore to many a student that “ANYTHING CAN BE ACHIEVED!” but no, it’s far cooler to have bad grades and knock up your 13 year old girlfriend which I completely abscond concern to. I fantasize that my kids are aspiring historical Purists commited to reliving second century Rome, emulating a population of a lower working class supporting a aristocracy, or in this case, capitalist graphic tee company that prints snarky tee shirts and wallets for these students to waste their parent’s hard earned cash on.
== These crystal structures were left in the piece by mistake ==
The following is a computed X-ray powder pattern of LiEr2Tl2W4O16. It was derived from a structure optimized by DFT (GGA+U), using copper Kα.
Intensities are scaled so that the largest is 100.

Structural model:
a b c (Å): 7.762 7.762 7.549
angles (deg): 118.43 118.43 87.42
Fractional coordinates of all 25 atoms:
Li 0.000 0.000 0.000
Er 0.285 0.715 0.000
Er 0.733 0.267 0.500
Tl 0.300 0.700 0.500
Tl 0.715 0.285 0.000
W 0.204 0.200 0.463
W 0.220 0.191 0.955
W 0.800 0.796 0.537
W 0.809 0.780 0.045
O 0.099 0.870 0.796
O 0.130 0.901 0.204
O 0.145 0.256 0.203
O 0.152 0.439 0.633
O 0.266 0.122 0.693
O 0.271 0.461 0.055
O 0.457 0.139 0.132
O 0.472 0.255 0.556
O 0.539 0.729 0.945
O 0.561 0.848 0.367
O 0.744 0.855 0.797
O 0.745 0.528 0.444
O 0.861 0.543 0.868
O 0.878 0.734 0.307
O 0.886 0.084 0.288
O 0.916 0.114 0.712

Largest 12 diffraction maxima, most intense first, 2θ = 10–90°:
| d (Å) | intensity |
| --- | --- |
| 3.317 | 100 |
| 3.087 | 93 |
| 2.840 | 35 |
| 3.294 | 33 |
| 2.788 | 30 |
| 2.682 | 18 |
| 1.950 | 17 |
| 1.630 | 16 |
| 1.651 | 16 |
| 1.706 | 16 |
| 1.933 | 15 |
| 2.722 | 15 |

The following is a computed X-ray powder pattern of LiErW2O8. It was derived from a structure optimized by DFT (GGA+U), using copper Kα.
Intensities are scaled so that the largest is 100.

Structural model:
a b c (Å): 5.088 5.889 10.957
angles (deg): 90.00 113.53 90.00
Fractional coordinates of all 24 atoms:
Li 0.000 0.247 0.250
Li 0.000 0.753 0.750
Er 0.500 0.315 0.750
Er 0.500 0.685 0.250
W 0.264 0.177 0.014
W 0.264 0.823 0.514
W 0.736 0.177 0.486
W 0.736 0.823 0.986
O 0.150 0.110 0.598
O 0.150 0.890 0.098
O 0.230 0.373 0.136
O 0.230 0.627 0.636
O 0.289 0.372 0.890
O 0.289 0.628 0.390
O 0.350 0.085 0.388
O 0.350 0.915 0.888
O 0.650 0.085 0.112
O 0.650 0.915 0.612
O 0.711 0.372 0.610
O 0.711 0.628 0.110
O 0.770 0.373 0.364
O 0.770 0.627 0.864
O 0.850 0.110 0.902
O 0.850 0.890 0.402

Largest 12 diffraction maxima, most intense first, 2θ = 10–90°:
| d (Å) | intensity |
| --- | --- |
| 3.135 | 100 |
| 2.977 | 85 |
| 3.822 | 40 |
| 2.547 | 33 |
| 5.023 | 29 |
| 2.538 | 26 |
| 1.828 | 25 |
| 3.845 | 25 |
| 4.665 | 23 |
| 5.081 | 19 |
| 4.406 | 19 |
| 2.945 | 19 |

The following is a computed X-ray powder pattern of Er2MgV2O8. It was derived from a structure optimized by DFT (GGA+U), using copper Kα.
Intensities are scaled so that the largest is 100.

Structural model:
a b c (Å): 5.949 5.949 6.473
angles (deg): 120.25 120.25 73.42
Fractional coordinates of all 13 atoms:
Er 0.214 0.214 0.072
Er 0.786 0.786 0.928
Mg 0.774 0.226 0.500
V 0.311 0.242 0.645
V 0.758 0.689 0.355
O 0.056 0.104 0.286
O 0.077 0.431 0.800
O 0.425 0.027 0.794
O 0.520 0.423 0.669
O 0.569 0.923 0.200
O 0.577 0.480 0.331
O 0.896 0.944 0.714
O 0.973 0.575 0.206

Largest 12 diffraction maxima, most intense first, 2θ = 10–90°:
| d (Å) | intensity |
| --- | --- |
| 3.556 | 100 |
| 3.710 | 97 |
| 2.791 | 87 |
| 2.681 | 86 |
| 5.035 | 54 |
| 2.567 | 51 |
| 4.782 | 40 |
| 2.905 | 37 |
| 1.834 | 37 |
To the four “emo” students I have, I advised that they should share quotes from their “feeling” dairies to each other and possibly be alone together but no apparently two boys can’t be friends and not keep their dicks out of each other as I was told by these: make up wearing, tight jeaned, sensitive souls that my idea was too “gay”. I wrote resumes for my students and scheduled interviews at local fast food joints and movie theaters knowing that these places have the propensity to hire felons, as many of my students are. Alas, my students declined the interviews because the theater and fast food industry wasn’t a suitable “first job" environment. Obviously my job’s social demography adheres to particular mindset where education isn’t really valued but I’m not too upset because I get my revenge by selling the really bad ones to gypsies.
Green Ranger out